_Exercise_
Transcribe the whole of the block further below exactly.

_Material_
'''
A relaxed EuReO3 crystal. Source: the Materials Project, functional PBE.

V in Å³ per atom: 12.8
Energy of formation from the pure elements in eV per atom: -2.3596
Space group: Pm-3m (221)
DFT total energy in eV/atom: -9.46

Cell: 4.0014 4.0014 4.0014 Å, 90.00 90.00 90.00°
With the nearest neighbours (Å) after each atom.
Positions (direct):
O  0.5000  0.5000  0.0000  2 Re 2.00
O  0.5000  0.0000  0.5000  2 Re 2.00
O  0.0000  0.5000  0.5000  2 Re 2.00
Eu  0.0000  0.0000  0.0000  12 O 2.83
Re  0.5000  0.5000  0.5000  6 O 2.00

~~~~~

# HoSi2Rh3

Crystalline HoSi2Rh3 at its relaxed geometry (PBE-GGA, the Materials Project).

abc: 5.516 5.516 3.684
angles: 90.00 90.00 120.00
Sites, in units of the cell vectors:
Ho (0.000, 0.000, 0.000)
Si (0.333, 0.667, 0.000)
Si (0.667, 0.333, 0.000)
Rh (0.000, 0.500, 0.500)
Rh (0.500, 0.000, 0.500)
Rh (0.500, 0.500, 0.500)

The value obtained for the calculated density is 9.1 Mg/m³. As for the energy relative to the elements: -1.016 eV/atom.

# Ho3Si2Sn3Rh9

Crystalline Ho3Si2Sn3Rh9 at its relaxed geometry (PBE-GGA, the Materials Project).

abc: 9.819 9.819 3.504
angles: 90.00 90.00 120.00
Sites, in units of the cell vectors:
Ho (0.000, 0.400, 0.000)
Ho (0.400, 0.000, 0.000)
Ho (0.600, 0.600, 0.000)
Si (0.333, 0.667, 0.000)
Si (0.667, 0.333, 0.000)
Sn (0.000, 0.761, 0.000)
Sn (0.239, 0.239, 0.000)
Sn (0.761, 0.000, 0.000)
Rh (0.000, 0.165, 0.500)
Rh (0.165, 0.000, 0.500)
Rh (0.184, 0.701, 0.500)
Rh (0.299, 0.483, 0.500)
Rh (0.483, 0.299, 0.500)
Rh (0.517, 0.816, 0.500)
Rh (0.701, 0.184, 0.500)
Rh (0.816, 0.517, 0.500)
Rh (0.835, 0.835, 0.500)

The value obtained for the calculated density is 10.4 Mg/m³. As for the energy relative to the elements: -0.891 eV/atom.

# SmHoRh2

Crystalline SmHoRh2 at its relaxed geometry (PBE-GGA, the Materials Project).

abc: 6.935 6.935 6.935
angles: 90.00 90.00 90.00
Sites, in units of the cell vectors:
Sm (0.000, 0.000, 0.000)
Sm (0.000, 0.500, 0.500)
Sm (0.500, 0.000, 0.500)
Sm (0.500, 0.500, 0.000)
Ho (0.000, 0.000, 0.500)
Ho (0.000, 0.500, 0.000)
Ho (0.500, 0.000, 0.000)
Ho (0.500, 0.500, 0.500)
Rh (0.250, 0.250, 0.250)
Rh (0.250, 0.250, 0.750)
Rh (0.250, 0.750, 0.250)
Rh (0.250, 0.750, 0.750)
Rh (0.750, 0.250, 0.250)
Rh (0.750, 0.250, 0.750)
Rh (0.750, 0.750, 0.250)
Rh (0.750, 0.750, 0.750)

The value obtained for the calculated density is 10.4 Mg/m³. As for the energy relative to the elements: -0.805 eV/atom.

# Ho5Sn18Rh6

Crystalline Ho5Sn18Rh6 at its relaxed geometry (PBE-GGA, the Materials Project).

abc: 9.895 9.895 9.895
angles: 60.00 60.00 60.00
Sites, in units of the cell vectors:
Ho (0.000, 0.000, 0.000)
Ho (0.110, 0.630, 0.630)
Ho (0.630, 0.110, 0.630)
Ho (0.630, 0.630, 0.110)
Ho (0.630, 0.630, 0.630)
Sn (0.008, 0.008, 0.342)
Sn (0.008, 0.008, 0.643)
Sn (0.008, 0.342, 0.008)
Sn (0.008, 0.342, 0.643)
Sn (0.008, 0.643, 0.008)
Sn (0.008, 0.643, 0.342)
Sn (0.250, 0.250, 0.250)
Sn (0.342, 0.008, 0.008)
Sn (0.342, 0.008, 0.643)
Sn (0.342, 0.643, 0.008)
Sn (0.412, 0.412, 0.412)
Sn (0.412, 0.412, 0.765)
Sn (0.412, 0.765, 0.412)
Sn (0.643, 0.008, 0.008)
Sn (0.643, 0.008, 0.342)
Sn (0.643, 0.342, 0.008)
Sn (0.750, 0.750, 0.750)
Sn (0.765, 0.412, 0.412)
Rh (0.254, 0.254, 0.746)
'''

_Solution_
A relaxed EuReO3 crystal. Source: the Materials Project, functional PBE.

V in Å³ per atom: 12.8
Energy of formation from the pure elements in eV per atom: -2.3596
Space group: Pm-3m (221)
DFT total energy in eV/atom: -9.46

Cell: 4.0014 4.0014 4.0014 Å, 90.00 90.00 90.00°
With the nearest neighbours (Å) after each atom.
Positions (direct):
O  0.5000  0.5000  0.0000  2 Re 2.00
O  0.5000  0.0000  0.5000  2 Re 2.00
O  0.0000  0.5000  0.5000  2 Re 2.00
Eu  0.0000  0.0000  0.0000  12 O 2.83
Re  0.5000  0.5000  0.5000  6 O 2.00

~~~~~

# HoSi2Rh3

Crystalline HoSi2Rh3 at its relaxed geometry (PBE-GGA, the Materials Project).

abc: 5.516 5.516 3.684
angles: 90.00 90.00 120.00
Sites, in units of the cell vectors:
Ho (0.000, 0.000, 0.000)
Si (0.333, 0.667, 0.000)
Si (0.667, 0.333, 0.000)
Rh (0.000, 0.500, 0.500)
Rh (0.500, 0.000, 0.500)
Rh (0.500, 0.500, 0.500)

The value obtained for the calculated density is 9.1 Mg/m³. As for the energy relative to the elements: -1.016 eV/atom.

# Ho3Si2Sn3Rh9

Crystalline Ho3Si2Sn3Rh9 at its relaxed geometry (PBE-GGA, the Materials Project).

abc: 9.819 9.819 3.504
angles: 90.00 90.00 120.00
Sites, in units of the cell vectors:
Ho (0.000, 0.400, 0.000)
Ho (0.400, 0.000, 0.000)
Ho (0.600, 0.600, 0.000)
Si (0.333, 0.667, 0.000)
Si (0.667, 0.333, 0.000)
Sn (0.000, 0.761, 0.000)
Sn (0.239, 0.239, 0.000)
Sn (0.761, 0.000, 0.000)
Rh (0.000, 0.165, 0.500)
Rh (0.165, 0.000, 0.500)
Rh (0.184, 0.701, 0.500)
Rh (0.299, 0.483, 0.500)
Rh (0.483, 0.299, 0.500)
Rh (0.517, 0.816, 0.500)
Rh (0.701, 0.184, 0.500)
Rh (0.816, 0.517, 0.500)
Rh (0.835, 0.835, 0.500)

The value obtained for the calculated density is 10.4 Mg/m³. As for the energy relative to the elements: -0.891 eV/atom.

# SmHoRh2

Crystalline SmHoRh2 at its relaxed geometry (PBE-GGA, the Materials Project).

abc: 6.935 6.935 6.935
angles: 90.00 90.00 90.00
Sites, in units of the cell vectors:
Sm (0.000, 0.000, 0.000)
Sm (0.000, 0.500, 0.500)
Sm (0.500, 0.000, 0.500)
Sm (0.500, 0.500, 0.000)
Ho (0.000, 0.000, 0.500)
Ho (0.000, 0.500, 0.000)
Ho (0.500, 0.000, 0.000)
Ho (0.500, 0.500, 0.500)
Rh (0.250, 0.250, 0.250)
Rh (0.250, 0.250, 0.750)
Rh (0.250, 0.750, 0.250)
Rh (0.250, 0.750, 0.750)
Rh (0.750, 0.250, 0.250)
Rh (0.750, 0.250, 0.750)
Rh (0.750, 0.750, 0.250)
Rh (0.750, 0.750, 0.750)

The value obtained for the calculated density is 10.4 Mg/m³. As for the energy relative to the elements: -0.805 eV/atom.

# Ho5Sn18Rh6

Crystalline Ho5Sn18Rh6 at its relaxed geometry (PBE-GGA, the Materials Project).

abc: 9.895 9.895 9.895
angles: 60.00 60.00 60.00
Sites, in units of the cell vectors:
Ho (0.000, 0.000, 0.000)
Ho (0.110, 0.630, 0.630)
Ho (0.630, 0.110, 0.630)
Ho (0.630, 0.630, 0.110)
Ho (0.630, 0.630, 0.630)
Sn (0.008, 0.008, 0.342)
Sn (0.008, 0.008, 0.643)
Sn (0.008, 0.342, 0.008)
Sn (0.008, 0.342, 0.643)
Sn (0.008, 0.643, 0.008)
Sn (0.008, 0.643, 0.342)
Sn (0.250, 0.250, 0.250)
Sn (0.342, 0.008, 0.008)
Sn (0.342, 0.008, 0.643)
Sn (0.342, 0.643, 0.008)
Sn (0.412, 0.412, 0.412)
Sn (0.412, 0.412, 0.765)
Sn (0.412, 0.765, 0.412)
Sn (0.643, 0.008, 0.008)
Sn (0.643, 0.008, 0.342)
Sn (0.643, 0.342, 0.008)
Sn (0.750, 0.750, 0.750)
Sn (0.765, 0.412, 0.412)
Rh (0.254, 0.254, 0.746)